12 Human Factors Issues in Intersection Safety

Human Factors Issues in
Intersection Safety
Research indicates that driver error may account for approximately 90 percent of all crashes.
While advances in automotive safety and highway design continue to improve, the one component
that has not changed is the driver. Understanding how drivers and all roadway users interact within an intersection environment is fundamental to improve roadway safety and save lives.
Driver Attention and Decision-Making
Negotiating intersections is one of the most complex and demanding tasks a driver faces.To successfully execute a vehicle maneuver through an intersection, the driver must assimilate the information, make a decision and execute the desired action. One limitation is that humans are serial
processors and the cognitive task-load at intersections can be quite large. Common items a driver must consider when approaching an intersection include:
Monitoring and adjusting speed;
Maintaining lane position;
Being aware of other vehicles;
Attending to signals or signs;
Scanning for pedestrians, bicyclists, people in wheelchairs and blind or visually-impaired people;
Decelerating for a stop;
Searching for path guidance; and
Selecting proper lane.
Given the short time drivers have to process a large amount of information, it is imperative that
designers and engineers provide clear and accurate information to drivers to help them navigate
an intersection.
Vision is the most important information reception characteristic of drivers. Features of human
vision are tied to specific roadway design elements as illustrated in Table 1.
Table 1:
Human Vision Characteristics as Related to
Roadway Elements
Visual Characteristic
Related Roadway Element(s)
Visual Acuity. Ability to see small details clearly.
Contrast Sensitivity. Seeing objects that are similar in
brightness to their background.
Color Vision. Discrimination of different colors.
Visual Field/Peripheral Vision
U.S. Department of Transportation
Federal Highway Administration
Sign size; reading distant traffic signs
Pavement markings and delineation;
detection of dark clothed pedestrians at night
Sign and signal design and retroreflectivity
Sign placement, signal placement; seeing a bicycle
approaching from the left
Scan Patterns
Sign placement, delineation treatments
Motion Judgment/Angular Movement. Seeing objects
School zones, highway railroad crossings;
moving across the field of view.
Judging the speed of cars crossing our path of travel
Movement in Depth. Detecting changes in visual image size. Judging the speed of an approaching vehicle
Visual Illusions
Guide signs, pavement markings
Depth Perception. Judgment of the distance of objects.
Passing on two-lane roads with oncoming traffic
Eye Movement. Changing the direction of gaze.
Scanning the road environment for hazards
Glare Sensitivity. Ability to resist and recover from the
Reduction in visual performance due to headlight glare
effects of glare
April 2004
Human Factors Issues in Intersection Safety
Driver Error
Perceptual failures account for a large
portion of driver errors. These can
include such items as “looked but failed
to see,” visual obstructions, reduced visibility due to environmental factors, poor
judgment of speed and/or distance and
low conspicuity of target. However distraction, misinterpretation of information and driver impairment are also
major contributing factors. Intersections
themselves present their own unique set
of driver errors, depending on the type
of intersection at hand.
Signalized Intersections
Common driver errors include:
Not understanding whether to
proceed or stop at a yellow-signal
indication (e.g.This is known as the
dilemma zone);
Underestimating time to reach an
Underestimating time to make a
smooth stop;
Failure to detect signal and proper
lane assignment; and
Misinterpreting guide sign information.
Unsignalized Intersections
(Molecular data, as found in the file)
'''
ORCA calculation (ωB97M-V/def2-TZVPD) on C56H40BaN3O2PS2 as an isolated structure.

```
! RIJCOSX wB97M-V def2-TZVPD def2/J DEFGRID3
* xyz 0 1
Ba -0.12 0.03 -0.26
C 1.76 2.21 8.30
C 1.34 1.46 7.07
C 2.26 0.75 6.31
C 1.87 0.07 5.17
C 0.54 0.08 4.81
C -0.41 0.78 5.55
C 0.00 1.46 6.67
S 0.11 -0.79 3.32
O -0.66 0.14 2.43
C -1.03 -2.00 4.01
C -0.41 -2.89 4.92
C -1.10 -3.93 5.44
C -2.45 -4.15 5.08
C -3.18 -5.26 5.58
C -4.47 -5.48 5.19
C -5.09 -4.60 4.28
C -4.42 -3.52 3.79
C -3.08 -3.27 4.17
C -2.34 -2.16 3.63
C -3.04 -1.31 2.63
C -3.88 -0.25 3.05
C -4.08 0.06 4.42
C -4.86 1.11 4.79
C -5.48 1.92 3.81
C -5.32 1.64 2.49
C -4.53 0.55 2.07
C -4.35 0.25 0.70
C -3.57 -0.80 0.31
C -2.92 -1.57 1.29
S -1.69 -2.76 0.76
O -1.41 -2.39 -0.68
C -2.66 -4.24 0.80
C -2.27 -5.24 1.68
C -3.05 -6.38 1.79
C -4.20 -6.53 1.03
C -5.06 -7.75 1.16
C -4.55 -5.52 0.13
C -3.79 -4.37 0.01
H 2.83 2.14 8.46
H 1.25 1.82 9.18
H 1.50 3.27 8.21
H 3.31 0.75 6.60
H 2.60 -0.47 4.57
H -1.45 0.80 5.23
H -0.73 2.02 7.25
H 0.63 -2.74 5.18
H -0.62 -4.62 6.13
H -2.69 -5.93 6.27
H -5.01 -6.34 5.57
H -6.11 -4.78 3.97
H -4.91 -2.85 3.09
H -3.61 -0.56 5.17
H -5.01 1.34 5.84
H -6.09 2.76 4.12
H -5.79 2.26 1.73
H -4.82 0.88 -0.04
H -3.40 -1.01 -0.74
H -1.38 -5.11 2.28
H -2.77 -7.15 2.49
H -4.66 -8.44 1.91
H -5.13 -8.28 0.21
H -6.08 -7.48 1.46
H -5.44 -5.64 -0.48
H -4.07 -3.59 -0.69
C -4.37 -2.54 -3.67
C -3.04 -2.83 -3.92
C -2.09 -1.82 -3.86
C -2.46 -0.51 -3.56
C -3.80 -0.23 -3.31
C -4.75 -1.24 -3.36
P -1.13 0.76 -3.45
C -0.96 1.27 -5.20
C 0.16 2.04 -5.53
C 0.34 2.51 -6.82
C -0.60 2.22 -7.80
C -1.71 1.45 -7.49
C -1.89 0.98 -6.19
C -1.98 2.13 -2.62
C -2.72 3.11 -3.28
C -3.43 4.03 -2.53
C -3.40 3.94 -1.14
C -2.65 2.95 -0.51
C -1.89 2.01 -1.22
H -5.12 -3.33 -3.71
H -2.74 -3.85 -4.15
H -1.05 -2.06 -4.04
H -4.10 0.78 -3.07
H -5.79 -1.01 -3.17
H 0.90 2.26 -4.77
H 1.21 3.11 -7.06
H -0.46 2.59 -8.81
H -2.44 1.22 -8.25
H -2.77 0.39 -5.96
H -2.74 3.16 -4.36
H -4.00 4.81 -3.01
H -3.95 4.66 -0.54
H -2.65 2.94 0.58
N 2.54 0.69 0.27
C 3.53 0.43 0.81
C 4.65 0.09 1.56
C 5.80 0.91 1.58
N 6.73 1.59 1.60
C 4.48 -0.98 2.46
N 4.26 -1.84 3.20
*
```

Calculated values
* relative energy (zero: lowest compared OMol25 entry of this formula, charge and spin): 0.0 kcal/mol
* Kohn-Sham gap: 6.96 eV
* HOMO: -7.48 eV

~~~~~

# 1
65
Properties=species:S:1:pos:R:3:forces:R:3:lowdin_charge:R:1 method="wB97M-V/def2-TZVPD" homo_ha="-0.7269 / -0.7452" relative_energy_ev=0.0000 energy_ev=-47609.6878 charge=+4 lumo_ev="-15.523 / -14.017"
Pb -0.033 -0.339 -0.200 -0.61 -0.45 0.26 1.591
C -2.201 1.880 3.374 -0.03 0.00 -0.11 0.057
C -1.374 1.722 4.463 0.04 -0.01 0.04 0.036
C -0.100 1.197 4.257 -0.02 0.04 -0.02 0.076
C 0.292 0.828 2.966 -0.10 0.06 -0.07 -0.190
N -0.559 0.936 1.911 0.05 0.02 0.16 0.037
C -1.752 1.460 2.105 0.03 0.06 0.12 -0.063
C 1.626 0.335 2.679 0.16 -0.06 0.04 -0.142
C 2.674 0.408 3.654 -0.10 -0.05 -0.05 0.124
C 3.925 -0.095 3.351 0.00 0.00 0.01 0.053
C 4.133 -0.631 2.097 -0.07 0.00 -0.10 0.125
'''
Common driver errors include:
Unsafe gap acceptance;
Inaccurate estimation of approaching vehicles’ speed;
Underestimating time to accelerate
after making a turn; and
Failure to yield right-of-way.
Table 2:
Human Factors and Their Relationship to
Roadway Design Elements
Human Factor
Design Value
Perception-reaction time
1.0-2.5 sec.
Deceleration rate
3.0-9.1 sec.
Distance for driver to detect an unexpected condition.
Gap acceptance
7.5 sec. Minimum
Turning left or right from stop
6.5 sec. Minimum
Crossing from stop
Driver height of eye
1080 mm
Pedestrian walk times
3.0-4.5 fps
Humans are not perfect when making
decisions, and some errors in judgment
are inevitable. However, steps can be
taken to help reduce the likelihood that
driver errors will take place.Therefore,
intersection design and features are
important and should take the limitations of human performance into
A signification proportion of intersection crashes involve left-turn maneuvers. Older drivers in particular run the
greatest risk of being involved in a leftturn accident, due in part to their
diminished ability to judge closure rates
of oncoming vehicles. Using alternative
intersection designs for left-turn lanes
can help alleviate this problem. For
example, a positive offset design can
Design Element Affected
Stopping Sight Distance
Stopping Sight Distance
Decision Sight Distances
Stopping Sight Distance
Stopping Sight Distance
Stopping Sight Distance
Pedestrian Facilities
help improve visibility of oncoming
vehicles. Adding protected left-turn
phases can also assist drivers in turning
Other elements of the intersection can
be added or modified to improve driver performance and reduce the likelihood of errors. Some include:
Using advanced guide signs that
are placed in conspicuous locations;
Using large pavement markings
and scribing path markings for
multiple turn lanes;
Using larger 12 in. signals or beacons;
Using pedestrian refuge islands
when possible;
Reducing size of dilemma zone
with appropriate amber-phase
timing or advanced detection;
Design Considerations
Design policy implicitly incorporates
principles of human factors. The “design
driver” is assumed by American
Transportation Officials (AASHTO) to
be alert and in control of physical and
mental abilities; to have a reasonable ability to see and perceive the roadway environment; and to have reasonable motor
skills to enable steering, braking and
other operations. Table 2 summarizes
key human factor considerations and
their relationship to design elements.
April 2004
Human Factors Issues in Intersection Safety
Ensuring that the intersection is
free of visual obstructions;
Avoiding permissive right-turnon-red when intersection skew
angle is less than 75 degrees; and
Ensuring crosswalks are easily
visible with high visibility markings and/or beacons.
National Highway Institute
Human Factors for
Transportation Engineers
For further information, contact
FHWA, Office of Safety, at 202-3668156.
This one-day workshop includes
interactive modules on information
reception, decision-making, driver
**Next to the piece, the page also holds records of molecules:**
'''
Entry from the Open Molecules 2025 dataset: a structure of composition C49H60BrCoN2O3SSi (the ωB97M-V functional and the def2-TZVPD basis).

Properties
- LUMO level (spin up / spin down) (eV) = 2.32 / 2.32
- HOMO level (spin up / spin down) (eV) = -3.452 / -3.969
- charge = -1
- Kohn-Sham gap (spin up / spin down) (eV) = 5.8 / 6.3
- 2S+1 = 2
- ⟨S²⟩ = 0.770
- energy relative to the best compared isomer or geometry (same formula, charge and spin) (kcal/mol) = 5.8

Positions of all 118 atoms, in Å:
Co 0.15128 -1.06184 1.70834
C 4.27602 2.11925 -2.70086
O 4.19578 0.78690 -3.15568
C 3.37712 -0.04677 -2.45160
C 3.35739 -1.38481 -2.89658
C 2.54530 -2.28362 -2.26334
C 1.74591 -1.93280 -1.15583
C 0.89630 -2.90324 -0.51706
C 0.51969 -4.15785 -1.28439
O 0.44393 -2.79781 0.62789
C 1.77076 -0.56957 -0.68932
O 1.05262 -0.12062 0.25520
C 2.61017 0.35057 -1.39029
H 4.96965 2.62896 -3.36675
H 4.65011 2.16965 -1.67435
H 3.30575 2.62314 -2.74580
H 3.99567 -1.67059 -3.72240
H 2.54106 -3.31205 -2.60603
H 0.21831 -3.90751 -2.30156
H -0.30629 -4.64244 -0.76809
H 1.36259 -4.85208 -1.33586
H 2.59207 1.36716 -1.02160
C -3.02981 -2.03052 -1.27318
C -3.94931 -2.65560 -0.43732
C -3.74578 -2.60588 0.92659
C -2.64325 -1.91682 1.44679
N -1.79296 -1.26958 0.62632
C -1.97676 -1.35371 -0.68722
C -2.28005 -1.92461 2.86682
C -3.21872 -2.24872 3.85447
C -2.84489 -2.33418 5.18059
C -1.51694 -2.09903 5.52548
C -0.59405 -1.74761 4.55254
C -0.93166 -1.63246 3.19678
H -3.13164 -2.07073 -2.35014
H -4.79703 -3.19046 -0.84829
H -4.40803 -3.13772 1.59588
H -1.23402 -0.84839 -1.29804
H -4.25744 -2.41352 3.58248
H -3.58242 -2.57455 5.93795
H -1.20625 -2.17459 6.56295
H 0.42526 -1.53992 4.86580
C 4.58878 -5.05217 0.17311
C 4.55339 -5.32135 1.68767
C 3.32750 -6.18595 2.01545
C 5.81350 -6.09616 2.08036
C 4.46240 -3.97175 2.40469
C 5.52187 -3.43084 3.14394
C 5.42945 -2.17696 3.73610
C 4.26492 -1.44973 3.57696
S 3.83249 0.13796 4.15573
C 2.26642 -0.01000 3.34446
N 2.10477 -1.14625 2.73166
C 3.18772 -1.96784 2.83475
C 3.29741 -3.23209 2.26389
C 1.22256 0.97889 3.33859
C 1.36122 2.23772 3.93751
C 0.32458 3.14606 3.87396
C -0.86047 2.79120 3.23153
C -1.00105 1.53586 2.65345
C 0.03186 0.59974 2.66888
H 4.72710 -5.98425 -0.38236
H 5.40908 -4.37524 -0.07450
H 3.66180 -4.57788 -0.15350
H 3.41861 -7.16480 1.53771
H 2.40654 -5.72564 1.65907
H 3.23311 -6.32882 3.09371
H 5.82025 -7.07381 1.59543
H 5.85398 -6.24380 3.16146
H 6.70921 -5.55647 1.76716
H 6.44498 -3.98000 3.26780
H 6.26094 -1.77839 4.30463
H 2.44771 -3.59196 1.70125
H 2.29030 2.49786 4.43866
H 0.42998 4.12814 4.32034
H -1.67811 3.50471 3.18176
H -1.94043 1.27471 2.17312
C -4.30353 1.64871 -0.74929
C -3.97750 2.25025 -2.12685
C -5.13026 3.16383 -2.56999
C -3.89991 1.07761 -3.11418
Si -2.29857 3.20549 -2.07240
'''
**So much for the records of molecules:**
responses and human factors principles. Upon completion of the course,
participants will be able to:
Recognize that human factors
have a role in highway design,
operations and safety decisions;
Describe human factors information that is included in today's
guidelines and standards;
Identify human capabilities needed for using roadways; and
Apply basic human factors principles to resolve issues related
to highway design, operations
and safety.
American Association of State Highway
and Transportation Officials. A Policy on
Geometric Design of Highways and Streets,
Fourth Edition. Washington, DC: AASHTO,
Institute of Transportation Engineers.
Traffic Engineering Handbook, 5th Edition.
Washington, DC: ITE, 1999.
April 2004
U.S. Department of Transportation
Federal Highway Administration
April 2004